The reader should search the calculation results further down for the word "at" and duplicate each line that has it.

- - -
The following is a DFT calculation (ωB97M-V/def2-TZVPD) of a molecular structure, C34H37BaN5 at a distorted geometry.

Energy relative to the best compared isomer or geometry (same formula, charge and spin), kJ/mol: 13.4
Total charge: -2

Last column: Löwdin charge in e.
Positions of all 77 atoms, in Å:
Ba  1.1641  0.9899  0.0492  1.76
N  1.5560  3.3272  -0.9055  -0.19
N  2.6960  -1.1431  -1.5427  -0.05
C  -2.1311  -0.7224  0.5193  -0.28
C  -2.1071  -0.0974  -0.7569  -0.31
C  -2.0982  1.3081  -0.5550  -0.34
C  -2.1602  2.3601  -1.5981  -0.07
H  -2.5570  1.9539  -2.5395  0.07
H  -1.1734  2.8129  -1.8084  0.03
H  -2.8235  3.1786  -1.2782  0.07
C  -2.1316  1.5496  0.8425  -0.31
C  -2.3157  2.8886  1.4419  -0.07
H  -3.3269  3.2889  1.2507  0.08
H  -1.6074  3.6105  1.0117  0.06
H  -2.1616  2.8699  2.5270  0.07
C  -2.1126  0.2958  1.5088  -0.29
C  -2.1964  0.0877  2.9724  -0.08
H  -1.5812  0.8209  3.5128  0.06
H  -1.8420  -0.9148  3.2451  0.06
H  -3.2298  0.1808  3.3452  0.07
C  -2.2501  -0.7741  -2.0657  -0.08
H  -3.3020  -0.7943  -2.4026  0.07
H  -1.9099  -1.8170  -2.0158  0.04
H  -1.6654  -0.2651  -2.8461  0.07
C  -2.3214  -2.1708  0.7682  -0.07
H  -1.8060  -2.4893  1.6842  0.06
H  -1.9232  -2.7695  -0.0607  0.06
H  -3.3882  -2.4349  0.8783  0.08
C  2.4420  4.3405  -0.3748  -0.37
H  2.3162  5.2599  -0.9828  0.14
C  3.8611  3.9162  -0.2682  -0.10
H  4.4884  4.4110  0.4856  0.09
C  4.3387  2.9528  -1.1272  -0.15
H  5.3731  2.5860  -1.0533  0.09
C  3.4723  2.4162  -2.1155  -0.16
H  3.6754  1.6344  -2.8452  0.07
C  2.1507  2.8710  -2.1071  -0.60
C  1.1201  3.4564  -2.7285  0.13
H  0.3627  3.1469  -3.4717  0.04
C  2.2922  -2.0576  -0.6939  -0.31
C  2.5782  -1.7636  -2.8317  -0.14
H  2.7254  -1.2588  -3.7807  0.08
C  2.1345  -3.0282  -2.6342  -0.11
H  2.1170  -3.8766  -3.2660  0.08
N  1.6912  -3.1061  -1.3097  0.00
C  0.7921  -3.9778  -0.6807  -0.11
C  -0.0848  -4.8019  -1.4091  -0.21
C  -0.7336  -5.8071  -0.6798  -0.03
H  -1.3705  -6.5231  -1.1967  0.10
C  -0.5843  -5.9072  0.7045  -0.30
C  -1.1417  -7.0725  1.4439  -0.08
H  -1.4006  -6.7911  2.4669  0.07
H  -0.3976  -7.8751  1.5029  0.07
H  -2.0225  -7.4659  0.9354  0.07
C  0.1331  -4.9447  1.4087  -0.02
H  0.1950  -4.9751  2.4933  0.11
C  0.7976  -3.9254  0.7312  -0.23
C  1.4389  -2.8134  1.4411  -0.18
H  2.1738  -2.1389  0.5453  -0.01
H  2.0374  -3.1437  2.3011  0.04
H  0.6974  -2.0806  1.8035  0.05
C  -0.3954  -4.5358  -2.8463  -0.06
H  0.4625  -4.7014  -3.5073  0.05
H  -0.7456  -3.5004  -2.9934  0.08
H  -1.1932  -5.2066  -3.1894  0.07
N  -2.2999  7.2297  1.9760  0.09
C  -1.3416  6.5550  1.9426  -0.19
C  -0.1857  5.6567  1.9386  -0.31
C  0.6758  5.5741  0.8706  -0.02
C  1.8632  4.6948  1.0025  -0.38
N  1.5454  3.4810  1.7538  -0.07
C  0.8938  3.7034  2.8885  -0.25
C  0.0494  4.8207  3.0575  -0.15
H  0.5792  6.1923  -0.0239  0.11
H  2.6576  5.2867  1.5201  0.13
H  0.9662  2.9837  3.7298  0.10
H  -0.4950  4.9783  3.9914  0.08

Atomic forces in eV per Å
Ba -0.826 -0.235 0.338
N -0.752 0.223 -1.911
N 0.406 -0.357 -2.212
C 0.318 0.795 -0.251
C 0.294 0.399 0.868
C 0.131 -0.664 0.734
C 0.044 0.497 -0.414
H 0.092 0.146 0.079
H -0.425 -0.018 -0.005
H 0.136 -0.094 -0.154
C 0.373 -0.807 -0.493
C 0.113 0.626 0.212
H 0.133 -0.075 0.089
H -0.151 -0.031 0.237
H -0.016 0.124 -0.183
C 0.067 0.228 -1.041
C -0.018 -0.080 0.561
H -0.157 -0.134 0.034
H -0.038 0.152 0.052
H 0.140 -0.011 0.076
C -0.015 -0.281 -0.562
H 0.167 -0.039 -0.059
H -0.038 0.158 -0.078
H -0.134 -0.183 0.036
C 0.045 -0.505 0.101
H -0.097 -0.098 -0.175
H -0.044 -0.064 0.194
H 0.164 -0.019 0.010
C -1.576 1.517 0.939
H 0.421 -0.179 0.097
C 1.590 -1.103 -0.780
H -0.281 -0.320 -0.369
C -0.076 0.643 1.606
H -0.437 0.238 -0.022
C -1.539 -1.243 -1.219
H 0.727 0.452 0.017
C 1.812 0.017 -0.503
C 0.536 -0.416 -0.027
H -0.267 0.135 1.367
C -0.328 2.917 -0.789
C 0.331 0.232 1.043
H 0.476 -0.111 0.257
C -1.284 0.464 -0.293
H -0.309 -0.235 -0.613
N 1.680 -0.168 -1.013
C 0.103 -0.442 0.436
C 0.325 0.058 0.987
C 0.106 0.368 0.103
- - -

The following is a DFT calculation (ωB97M-V/def2-TZVPD) of a molecular structure, C34H37BaN5 at a distorted geometry.